-- Material --
Entry 1:
Structure and calculated powder XRD pattern of Na2U2CoH8C12O28 (a DFT-relaxed cell (GGA+U, the Materials Project); Cu Kα X-rays).
Kinematic intensities with the Lorentz-polarization factor, no thermal factor.

Structure:
a = 6.528 Å, b = 7.917 Å, c = 13.006 Å
α = 75.70°, β = 84.65°, γ = 67.67°
Space group P-1 (No. 2)
Symmetry-distinct sites (fractional):
Na  0.247  0.338  0.291 (multiplicity 2)
U  0.263  0.837  0.303 (multiplicity 2)
Co  0.000  0.500  0.000 (multiplicity 1)
H  0.148  0.693  0.826 (multiplicity 2)
H  0.251  0.478  0.819 (multiplicity 2)
H  0.306  0.561  0.094 (multiplicity 2)
H  0.416  0.352  0.076 (multiplicity 2)
C  0.024  0.090  0.479 (multiplicity 2)
C  0.191  0.250  0.726 (multiplicity 2)
C  0.197  0.090  0.061 (multiplicity 2)
C  0.285  0.045  0.719 (multiplicity 2)
C  0.303  0.887  0.044 (multiplicity 2)
C  0.474  0.432  0.475 (multiplicity 2)
O  0.017  0.669  0.275 (multiplicity 2)
O  0.043  0.787  0.467 (multiplicity 2)
O  0.131  0.100  0.392 (multiplicity 2)
O  0.133  0.229  0.983 (multiplicity 2)
O  0.147  0.966  0.724 (multiplicity 2)
O  0.181  0.099  0.158 (multiplicity 2)
O  0.193  0.564  0.868 (multiplicity 2)
O  0.278  0.445  0.098 (multiplicity 2)
O  0.322  0.762  0.132 (multiplicity 2)
O  0.331  0.323  0.733 (multiplicity 2)
O  0.361  0.855  0.955 (multiplicity 2)
O  0.389  0.499  0.382 (multiplicity 2)
O  0.484  0.733  0.471 (multiplicity 2)
O  0.493  0.972  0.710 (multiplicity 2)

Main lines, low angle first (5° ≤ 2θ ≤ 70°):
hkl 0 1 0, 12.4 deg, intensity 179
hkl 0 1 1, 12.8 deg, intensity 224
hkl 0 0 2, 14.1 deg, intensity 221
hkl 1 1 0, 15.3 deg, intensity 180
hkl 0 1 -1, 15.6 deg, intensity 1000
hkl 1 0 -1, 16.3 deg, intensity 799
hkl 0 1 2, 16.5 deg, intensity 465
hkl 0 0 3, 21.1 deg, intensity 243
hkl 1 2 0, 23.8 deg, intensity 192
hkl 2 0 -2, 32.9 deg, intensity 192

***

Entry 2:
Structure and calculated powder XRD pattern of FeO2 (a DFT-relaxed cell (GGA+U, the Materials Project); Cu Kα X-rays).
Kinematic intensities with the Lorentz-polarization factor, no thermal factor.

Structure:
a = 3.045 Å, b = 11.129 Å, c = 3.897 Å
α = 90.00°, β = 90.00°, γ = 90.00°
Space group Cmcm (No. 63)
Symmetry-distinct sites (fractional):
Fe  0.000  0.162  0.250 (multiplicity 4)
O  0.000  0.209  0.750 (multiplicity 4)
O  0.000  0.448  0.750 (multiplicity 4)

Main lines, low angle first (5° ≤ 2θ ≤ 70°):
hkl 0 2 0, 15.9 deg, intensity 528
hkl 0 2 1, 28.0 deg, intensity 1000
hkl 1 1 0, 30.4 deg, intensity 96
hkl 1 3 0, 38.2 deg, intensity 876
hkl 1 1 1, 38.4 deg, intensity 238
hkl 0 0 2, 46.6 deg, intensity 308
hkl 1 5 1, 56.4 deg, intensity 439
hkl 2 0 0, 60.8 deg, intensity 121
hkl 1 3 2, 61.8 deg, intensity 351
hkl 2 2 1, 68.3 deg, intensity 129

***

Entry 3:
Structure and calculated powder XRD pattern of Mn3O2F4 (a DFT-relaxed cell (GGA+U, the Materials Project); Cu Kα X-rays).
Kinematic intensities with the Lorentz-polarization factor, no thermal factor.

Structure:
a = 4.821 Å, b = 5.790 Å, c = 7.966 Å
α = 86.41°, β = 89.67°, γ = 88.71°
Space group P-1 (No. 2)
Symmetry-distinct sites (fractional):
Mn  0.000  0.000  0.000 (multiplicity 1)
Mn  0.005  0.335  0.650 (multiplicity 2)
Mn  0.459  0.177  0.324 (multiplicity 2)
Mn  0.500  0.500  0.000 (multiplicity 1)
O  0.184  0.374  0.429 (multiplicity 2)
O  0.316  0.222  0.096 (multiplicity 2)
F  0.197  0.709  0.125 (multiplicity 2)
F  0.203  0.036  0.751 (multiplicity 2)
F  0.296  0.527  0.783 (multiplicity 2)
F  0.323  0.861  0.450 (multiplicity 2)

Main lines, low angle first (5° ≤ 2θ ≤ 70°):
hkl 1 1 1, 25.9 deg, intensity 1000
hkl -1 1 1, 26.4 deg, intensity 919
hkl 1 1 -2, 33.6 deg, intensity 514
hkl 0 0 3, 33.9 deg, intensity 398
hkl 2 2 -1, 50.6 deg, intensity 309
hkl 1 1 4, 51.1 deg, intensity 292
hkl 1 -3 0, 51.5 deg, intensity 276
hkl 2 2 2, 53.2 deg, intensity 160
hkl -2 2 2, 54.4 deg, intensity 159
hkl 0 2 -4, 57.9 deg, intensity 168

***

Entry 4:
-- Activity --
Copy the entries above character by character.
-- Response --
Entry 1:
Structure and calculated powder XRD pattern of Na2U2CoH8C12O28 (a DFT-relaxed cell (GGA+U, the Materials Project); Cu Kα X-rays).
Kinematic intensities with the Lorentz-polarization factor, no thermal factor.

Structure:
a = 6.528 Å, b = 7.917 Å, c = 13.006 Å
α = 75.70°, β = 84.65°, γ = 67.67°
Space group P-1 (No. 2)
Symmetry-distinct sites (fractional):
Na  0.247  0.338  0.291 (multiplicity 2)
U  0.263  0.837  0.303 (multiplicity 2)
Co  0.000  0.500  0.000 (multiplicity 1)
H  0.148  0.693  0.826 (multiplicity 2)
H  0.251  0.478  0.819 (multiplicity 2)
H  0.306  0.561  0.094 (multiplicity 2)
H  0.416  0.352  0.076 (multiplicity 2)
C  0.024  0.090  0.479 (multiplicity 2)
C  0.191  0.250  0.726 (multiplicity 2)
C  0.197  0.090  0.061 (multiplicity 2)
C  0.285  0.045  0.719 (multiplicity 2)
C  0.303  0.887  0.044 (multiplicity 2)
C  0.474  0.432  0.475 (multiplicity 2)
O  0.017  0.669  0.275 (multiplicity 2)
O  0.043  0.787  0.467 (multiplicity 2)
O  0.131  0.100  0.392 (multiplicity 2)
O  0.133  0.229  0.983 (multiplicity 2)
O  0.147  0.966  0.724 (multiplicity 2)
O  0.181  0.099  0.158 (multiplicity 2)
O  0.193  0.564  0.868 (multiplicity 2)
O  0.278  0.445  0.098 (multiplicity 2)
O  0.322  0.762  0.132 (multiplicity 2)
O  0.331  0.323  0.733 (multiplicity 2)
O  0.361  0.855  0.955 (multiplicity 2)
O  0.389  0.499  0.382 (multiplicity 2)
O  0.484  0.733  0.471 (multiplicity 2)
O  0.493  0.972  0.710 (multiplicity 2)

Main lines, low angle first (5° ≤ 2θ ≤ 70°):
hkl 0 1 0, 12.4 deg, intensity 179
hkl 0 1 1, 12.8 deg, intensity 224
hkl 0 0 2, 14.1 deg, intensity 221
hkl 1 1 0, 15.3 deg, intensity 180
hkl 0 1 -1, 15.6 deg, intensity 1000
hkl 1 0 -1, 16.3 deg, intensity 799
hkl 0 1 2, 16.5 deg, intensity 465
hkl 0 0 3, 21.1 deg, intensity 243
hkl 1 2 0, 23.8 deg, intensity 192
hkl 2 0 -2, 32.9 deg, intensity 192

***

Entry 2:
Structure and calculated powder XRD pattern of FeO2 (a DFT-relaxed cell (GGA+U, the Materials Project); Cu Kα X-rays).
Kinematic intensities with the Lorentz-polarization factor, no thermal factor.

Structure:
a = 3.045 Å, b = 11.129 Å, c = 3.897 Å
α = 90.00°, β = 90.00°, γ = 90.00°
Space group Cmcm (No. 63)
Symmetry-distinct sites (fractional):
Fe  0.000  0.162  0.250 (multiplicity 4)
O  0.000  0.209  0.750 (multiplicity 4)
O  0.000  0.448  0.750 (multiplicity 4)

Main lines, low angle first (5° ≤ 2θ ≤ 70°):
hkl 0 2 0, 15.9 deg, intensity 528
hkl 0 2 1, 28.0 deg, intensity 1000
hkl 1 1 0, 30.4 deg, intensity 96
hkl 1 3 0, 38.2 deg, intensity 876
hkl 1 1 1, 38.4 deg, intensity 238
hkl 0 0 2, 46.6 deg, intensity 308
hkl 1 5 1, 56.4 deg, intensity 439
hkl 2 0 0, 60.8 deg, intensity 121
hkl 1 3 2, 61.8 deg, intensity 351
hkl 2 2 1, 68.3 deg, intensity 129

***

Entry 3:
Structure and calculated powder XRD pattern of Mn3O2F4 (a DFT-relaxed cell (GGA+U, the Materials Project); Cu Kα X-rays).
Kinematic intensities with the Lorentz-polarization factor, no thermal factor.

Structure:
a = 4.821 Å, b = 5.790 Å, c = 7.966 Å
α = 86.41°, β = 89.67°, γ = 88.71°
Space group P-1 (No. 2)
Symmetry-distinct sites (fractional):
Mn  0.000  0.000  0.000 (multiplicity 1)
Mn  0.005  0.335  0.650 (multiplicity 2)
Mn  0.459  0.177  0.324 (multiplicity 2)
Mn  0.500  0.500  0.000 (multiplicity 1)
O  0.184  0.374  0.429 (multiplicity 2)
O  0.316  0.222  0.096 (multiplicity 2)
F  0.197  0.709  0.125 (multiplicity 2)
F  0.203  0.036  0.751 (multiplicity 2)
F  0.296  0.527  0.783 (multiplicity 2)
F  0.323  0.861  0.450 (multiplicity 2)

Main lines, low angle first (5° ≤ 2θ ≤ 70°):
hkl 1 1 1, 25.9 deg, intensity 1000
hkl -1 1 1, 26.4 deg, intensity 919
hkl 1 1 -2, 33.6 deg, intensity 514
hkl 0 0 3, 33.9 deg, intensity 398
hkl 2 2 -1, 50.6 deg, intensity 309
hkl 1 1 4, 51.1 deg, intensity 292
hkl 1 -3 0, 51.5 deg, intensity 276
hkl 2 2 2, 53.2 deg, intensity 160
hkl -2 2 2, 54.4 deg, intensity 159
hkl 0 2 -4, 57.9 deg, intensity 168

***

Entry 4: